Palmer Schoening, Chairman of the Family Business Coalition and President of Schoening Strategies, is providing tED magazine another update on key issues at impact NAED members in Washington D.C.
Here is the update for Friday, June 9:
Financial Choice Act Passed the House:
At 4:38 p.m. EST yesterday, on a straight party-line 233-186 vote, the House passed H.R.10 to undo much of Dodd-Frank including the conflict minerals reporting requirements for businesses, sections 1502. We’ll be pushing to make sure 1502 is included in whatever Dodd-Frank reform legislation emerges in the Senate (where there could be significant changes in the bill during debate). More in yesterday’s Washington Post Wonkblog.
Here the page breaks off for calculated crystals
+++
{"formula": "SrCa4Mg2", "functional": "PBE", "state": "optimized geometry", "lattice_angstrom": [[10.1257, 0.0000, 0.0000], [0.0000, 10.1257, 0.0000], [0.0000, 0.0000, 5.4791]], "species": ["Sr", "Sr", "Ca", "Ca", "Ca", "Ca", "Ca", "Ca", "Ca", "Ca", "Mg", "Mg", "Mg", "Mg"], "fractional_positions": [[0.0000, 0.0000, 0.0000], [0.5000, 0.5000, 0.5000], [0.0923, 0.3419, 0.5000], [0.1581, 0.5923, 0.0000], [0.3419, 0.0923, 0.5000], [0.4077, 0.8419, 0.0000], [0.5923, 0.1581, 0.0000], [0.6581, 0.9077, 0.5000], [0.8419, 0.4077, 0.0000], [0.9077, 0.6581, 0.5000], [0.2185, 0.7815, 0.5000], [0.2815, 0.2815, 0.0000], [0.7185, 0.7185, 0.0000], [0.7815, 0.2185, 0.5000]], "e_tot_ev_per_atom": -1.783, "e_above_lowest_polymorph_ev_per_atom": 0.038, "delta_e_f_mev_per_atom": 56, "dos_at_fermi_per_ev_atom": 1.176, "space_group": "P4_2/mnm, No. 136"}

~~~~~

Record 1
This record from the Alexandria database describes a relaxed HoBe2SiRh2 crystal. The functional is PBE-GGA.

* calculated total energy: -5.468 eV/atom
* symmetry: P4/mmm, No. 123
* energy relative to the elements, uncorrected: -10.5 kJ per mole of atoms

Cell lengths 4.0474, 4.0474, 5.5476 Å; angles 90.00, 90.00, 90.00 degrees
With the nearest neighbours (Å) after each atom.
Atoms (fractional coordinates):
Rh  0.5000  0.5000  0.2473  4 Be 2.44
Rh  0.5000  0.5000  0.7527  4 Be 2.44
Si  0.0000  0.0000  0.0000  4 Be 2.02
Be  0.0000  0.5000  0.0000  2 Si 2.02
Be  0.5000  0.0000  0.0000  2 Si 2.02
Ho  0.0000  0.0000  0.5000  2 Si 2.77

---

Record 2
This record from the Alexandria database describes a relaxed Cs3PrNp2Te6 crystal. The functional is PBE-GGA.

* calculated total energy: -5.397 eV/atom
* symmetry: C2/m, No. 12
* energy relative to the elements, uncorrected: -102.1 kJ per mole of atoms

Cell lengths 8.0636, 8.0636, 9.3250 Å; angles 98.29, 98.29, 120.00 degrees
With the nearest neighbours (Å) after each atom.
Atoms (fractional coordinates):
Te  0.7243  0.7243  0.1916  2 Np 3.17, 1 Pr 3.23
Te  0.4037  0.0644  0.1927  2 Np 3.17, 1 Pr 3.23
Te  0.5963  0.9356  0.8073  2 Np 3.17, 1 Pr 3.23
Te  0.0644  0.4037  0.1927  2 Np 3.17, 1 Pr 3.23
Te  0.9356  0.5963  0.8073  2 Np 3.17, 1 Pr 3.23
Te  0.2757  0.2757  0.8084  2 Np 3.17, 1 Pr 3.23
Pr  0.0000  0.0000  0.0000  6 Te 3.23
Cs  0.8357  0.1643  0.5000  6 Te 3.83-3.86
Cs  0.1643  0.8357  0.5000  6 Te 3.83-3.86
Cs  0.5000  0.5000  0.5000  6 Te 3.81-3.86
Np  0.6670  0.3330  0.0000  6 Te 3.17
Np  0.3330  0.6670  0.0000  6 Te 3.17

---

Record 3
This record from the Alexandria database describes a relaxed Zr2Ru2Se crystal. The functional is PBE-GGA.

* calculated total energy: -7.809 eV/atom
* symmetry: I4/mmm, No. 139
* energy relative to the elements, uncorrected: 1.7 kJ per mole of atoms

Cell lengths 5.0529, 5.0529, 5.3504 Å; angles 61.82, 61.82, 90.00 degrees
With the nearest neighbours (Å) after each atom.
Atoms (fractional coordinates):
Zr  0.7500  0.2500  0.5000  4 Ru 2.64
Zr  0.2500  0.7500  0.5000  4 Ru 2.64
+++
Here the page continues
House Appropriators Moving Ahead:
CQ Roll Call reports: Rep. Charlie Dent (R-PA), chairman of the Appropriations subcommittee in charge of the Military Construction-VA spending bill, said full committee Chairman Rodney Frelinghuysen (R-NJ) will provide a topline funding level for Dent’s bill in time for the subcommittee markup Monday. That doesn’t necessarily mean there will be an overall topline for fiscal 2018 spending by Monday.
Debt Limit Increase May Join Omnibus Appropriations, but Not Necessarily by the August Recess:
At yesterday’s regular weekly briefing, House Speaker Paul Ryan (R-WI) said:
“So, we’re — we’re not taking any options off the table. We’re having the kind of conversation with our members about what is the best way to proceed and how can we address these fiscal deadlines. We have budget caps, need to — to fix defense, debt limit, all of those things.
“Can we assemble a — a package before August? Sure. Do we have to before August? No, we don’t have to assemble it before August. But — but that’s the kind of thing we’re — we’re having a good conversation with our members on.”
“A Key Republican Demands Subsidies to Calm Insurance Markets”:
Yesterday’s New York Times article led with:
A powerful House Republican said Thursday that Congress should immediately provide money for subsidy payments to health insurance companies, which have been demanding big rate increases or fleeing from Affordable Care Act markets because of President Trump’s threat to cut off the funds.
Materials data that have nothing to do with the article =
-- begin --
Computed, not measured: Mn3Ga5O12 after structural relaxation at the PBE with a Hubbard U level of DFT.

The space group is Ia-3d (No. 230) and the conventional cell measures 12.160, 12.160 and 12.160 Å, with angles of 90.00, 90.00 and 90.00 degrees. Symmetry generates all atoms from Mn at (0.000, 0.250, 0.125), Ga at (0.000, 0.000, 0.000), Ga at (0.000, 0.250, 0.375) and O at (0.017, 0.049, 0.655).

The total energy comes out at -6.42 eV per atom.

* * * * *

Material: Sm2Ge4IrPt3
Method: DFT, PBE
State: optimized geometry

Its density is 12.066 g/cm3. Its total magnetic moment is 0.000 μB/atom. For the formation enthalpy at 0 K, the calculation gives -0.88 eV/atom. As for the total energy: -6.3728 eV/atom.

The structure belongs to space group P-4m2 (No. 115); the cell edges are 4.191, 4.191 and 10.725 Å and the angles 90.00°, 90.00° and 90.00°. The distinct sites, in fractional coordinates, are Sm at (0.000, 0.500, 0.246), Ge at (0.000, 0.000, 0.500), Ge at (0.000, 0.500, 0.865), Ge at (0.500, 0.500, 0.500), Ir at (0.500, 0.500, 0.000), Pt at (0.000, 0.000, 0.000) and Pt at (0.000, 0.500, 0.637).

* * * * *

# Ce6Bi2C | Alexandria | GGA-PBE | relaxed
data_Ce6Bi2C
_space_group_name_H-M_alt 'I m m m'
_space_group_IT_number 71
_space_group_name_Hall '-I 2 2'
_cell_length_a 4.625
_cell_length_b 7.073
_cell_length_c 15.937
_cell_angle_alpha 90.00
_cell_angle_beta 90.00
_cell_angle_gamma 90.00
loop_
_atom_site_label
_atom_site_fract_x
_atom_site_fract_y
_atom_site_fract_z
Ce1 0.000 0.187 0.135
Ce2 0.000 0.298 0.500
Bi1 0.000 0.000 0.331
C1 0.000 0.000 0.000
# Calculated volume, Å³/f.u.: 261
# E above lowest polymorph, kJ/mol of formula units: 268
# Energy, eV per atom: -5.969
# ΔE_f, eV per formula unit: -1.14
# Magnetic moment, μB per formula unit: 4.3

# TbPmHoSn | Alexandria | GGA-PBE | relaxed
data_TbPmHoSn
_space_group_name_H-M_alt 'F -4 3 m'
_space_group_IT_number 216
_space_group_name_Hall 'F -4 2 3'
_cell_length_a 7.692
_cell_length_b 7.692
_cell_length_c 7.692
_cell_angle_alpha 90.00
_cell_angle_beta 90.00
_cell_angle_gamma 90.00
loop_
_atom_site_label
_atom_site_fract_x
_atom_site_fract_y
_atom_site_fract_z
Tb1 0.000 0.000 0.000
Pm1 0.250 0.250 0.250
Ho1 0.000 0.000 0.500
Sn1 0.250 0.250 0.750
# Calculated volume, Å³/f.u.: 114
# Energy, eV per atom: -4.707
# ΔE_f, eV per formula unit: -0.87
# Magnetic moment, μB per formula unit: 0.4

# Be2PtCl | Alexandria | GGA-PBE | relaxed
data_Be2PtCl
_space_group_name_H-M_alt 'P 1 m 1'
_space_group_IT_number 6
_space_group_name_Hall 'P -2y'
_cell_length_a 3.438
_cell_length_b 2.949
_cell_length_c 7.470
_cell_angle_alpha 90.00
_cell_angle_beta 96.41
_cell_angle_gamma 90.00
loop_
_atom_site_label
_atom_site_fract_x
_atom_site_fract_y
_atom_site_fract_z
Be1 0.000 0.000 0.000
Be2 0.065 0.500 0.267
Pt1 0.510 0.500 0.043
Cl1 0.108 0.000 0.448
# Uncorrected formation energy, kJ/mol of formula units: -207
# Calculated volume, Å³/f.u.: 75
# E above lowest polymorph, kJ/mol of formula units: 0
-- stop --
The Republican, Kevin Brady of Texas, who is the chairman of the House Ways and Means Committee, went out of his way to make clear that he now believes that Congress should continue the subsidies, which compensate insurers for reducing deductibles and other out-of-pocket costs for seven million low-income people.
The Trump administration has sent mixed signals on the issue, as the president seeks leverage to win legislation to repeal the Affordable Care Act. That has destabilized insurance markets and jeopardized a health law that President Trump says is collapsing.
Yesterday, as reported by The Washington Times, HHS Secretary Tom Price told the Senate Finance Committee,
Tagged with government, tED“Nobody is interested in sabotaging the system,” implying the payments would be made, but there’s no announcement yet.